# Source
<<<
Density functional theory data (PBE-GGA) for a relaxed P2Ru2SeN crystal.

Properties
Relative energy among the computed polymorphs (eV/atom): 0.1577
Energy (eV per cell): -41.6
ΔE_f (raw) (eV per formula unit): -0.38

Geometry as CIF:
```
data_P2Ru2SeN
_chemical_formula_sum 'P2 Ru2 Se1 N1'
_cell_length_a 2.924
_cell_length_b 6.079
_cell_length_c 5.638
_cell_angle_alpha 90.00
_cell_angle_beta 90.00
_cell_angle_gamma 90.00
_space_group_name_H-M_alt 'P m m 2'
_space_group_IT_number 25
_space_group_name_Hall 'P 2 -2'
loop_
_atom_site_label
_atom_site_type_symbol
_atom_site_fract_x
_atom_site_fract_y
_atom_site_fract_z
P1 P 0.000 0.000 0.000
P2 P 0.500 0.000 0.492
Ru1 Ru 0.000 0.238 0.677
Se1 Se 0.500 0.500 0.443
N1 N 0.500 0.000 0.190
```

Density functional theory data (PBE-GGA) for a relaxed Pa2ZnReN5 crystal.

Properties
Energy (eV per cell): -327.2
ΔE_f (raw) (eV per formula unit): -7.46

Geometry as CIF:
```
data_Pa2ZnReN5
_chemical_formula_sum 'Pa8 Zn4 Re4 N20'
_cell_length_a 3.391
_cell_length_b 14.240
_cell_length_c 9.336
_cell_angle_alpha 90.00
_cell_angle_beta 90.00
_cell_angle_gamma 90.00
_space_group_name_H-M_alt 'C m c 21'
_space_group_IT_number 36
_space_group_name_Hall 'C 2c -2'
loop_
_atom_site_label
_atom_site_type_symbol
_atom_site_fract_x
_atom_site_fract_y
_atom_site_fract_z
Pa1 Pa 0.000 0.127 0.000
Pa2 Pa 0.000 0.131 0.502
Zn1 Zn 0.000 0.489 0.755
Re1 Re 0.000 0.241 0.245
N1 N 0.000 0.089 0.252
N2 N 0.000 0.276 0.885
N3 N 0.000 0.280 0.613
N4 N 0.000 0.375 0.189
N5 N 0.000 0.481 0.484
```

Density functional theory data (PBE-GGA) for a relaxed ErAlH crystal.

Properties
Relative energy among the computed polymorphs (eV/atom): 0.3667
Energy (eV per cell): -23.6

Geometry as CIF:
```
data_ErAlH
_chemical_formula_sum 'Er2 Al2 H2'
_cell_length_a 3.076
_cell_length_b 3.076
_cell_length_c 10.974
_cell_angle_alpha 90.00
_cell_angle_beta 90.00
_cell_angle_gamma 90.00
_space_group_name_H-M_alt 'I 4 m m'
_space_group_IT_number 107
_space_group_name_Hall 'I 4 -2'
loop_
_atom_site_label
_atom_site_type_symbol
_atom_site_fract_x
_atom_site_fract_y
_atom_site_fract_z
Er1 Er 0.000 0.000 0.000
Al1 Al 0.000 0.000 0.284
H1 H 0.000 0.000 0.543
```

> Among the records above, which one has the lowest energy?

Pa2ZnReN5

> What is the energy in the third record?

-23.6 eV per cell

=====

Mg2ScTe (PBE, relaxed); crystal system = orthorhombic; raw formation energy = -309 meV per atom; calculated density = 3.93 g/cm3
1.0
-2.282 0.373 3.350
-3.666 -1.200 -2.364
0.863 -4.864 1.130
Te Mg Sc
1 2 1
direct
0.000 0.500 0.500 Te
0.500 0.500 0.000 Mg
0.000 0.000 0.000 Mg
0.500 0.000 0.500 Sc

=====

MgSc4Te (PBE, relaxed); crystal system = cubic; raw formation energy = 90 meV per atom; calculated density = 3.66 g/cm3
1.0
-5.857 -1.022 0.550
-3.847 4.566 -0.067
-3.620 0.785 -4.683
Mg Sc Te
1 4 1
direct
0.000 0.000 0.000 Mg
0.374 0.374 0.878 Sc
0.878 0.374 0.374 Sc
0.374 0.374 0.374 Sc
0.374 0.878 0.374 Sc
0.750 0.750 0.750 Te

=====

MgScTe2 (PBE, relaxed); crystal system = tetragonal; raw formation energy = -711 meV per atom; calculated density = 5.42 g/cm3
1.0
-0.691 2.635 2.482
-3.585 -0.140 -0.845
-1.012 -5.107 5.140
Sc Te Mg
1 2 1
direct
0.500 0.500 0.750 Sc
0.000 0.000 0.986 Te
0.000 0.000 0.514 Te
0.500 0.500 0.250 Mg

=====

MgScTe2 (PBE, relaxed); crystal system = tetragonal; raw formation energy = -652 meV per atom; calculated density = 5.46 g/cm3
1.0
5.168 0.000 0.000
0.000 5.168 0.000
0.000 0.000 3.697
Te Mg Sc
2 1 1
direct
0.500 0.500 0.000 Te
0.000 0.000 0.000 Te
0.500 0.000 0.500 Mg
0.000 0.500 0.500 Sc

=====

MgSc2Tl3Te6 (PBE, relaxed); crystal system = monoclinic; raw formation energy = -779 meV per atom; calculated density = 6.53 g/cm3
1.0
-3.732 -2.110 6.080
6.616 -3.035 -1.536
2.625 7.393 2.669
Te Sc Mg Tl
6 2 1 3
direct
0.068 0.405 0.205 Te
0.932 0.595 0.795 Te
0.269 0.269 0.797 Te
0.595 0.932 0.795 Te
0.405 0.068 0.205 Te
0.731 0.731 0.203 Te
0.667 0.333 0.000 Sc
0.333 0.667 0.000 Sc
0.000 0.000 0.000 Mg
>>>
# Work order
Give back the notes above exactly.
# Completed
Density functional theory data (PBE-GGA) for a relaxed P2Ru2SeN crystal.

Properties
Relative energy among the computed polymorphs (eV/atom): 0.1577
Energy (eV per cell): -41.6
ΔE_f (raw) (eV per formula unit): -0.38

Geometry as CIF:
```
data_P2Ru2SeN
_chemical_formula_sum 'P2 Ru2 Se1 N1'
_cell_length_a 2.924
_cell_length_b 6.079
_cell_length_c 5.638
_cell_angle_alpha 90.00
_cell_angle_beta 90.00
_cell_angle_gamma 90.00
_space_group_name_H-M_alt 'P m m 2'
_space_group_IT_number 25
_space_group_name_Hall 'P 2 -2'
loop_
_atom_site_label
_atom_site_type_symbol
_atom_site_fract_x
_atom_site_fract_y
_atom_site_fract_z
P1 P 0.000 0.000 0.000
P2 P 0.500 0.000 0.492
Ru1 Ru 0.000 0.238 0.677
Se1 Se 0.500 0.500 0.443
N1 N 0.500 0.000 0.190
```

Density functional theory data (PBE-GGA) for a relaxed Pa2ZnReN5 crystal.

Properties
Energy (eV per cell): -327.2
ΔE_f (raw) (eV per formula unit): -7.46

Geometry as CIF:
```
data_Pa2ZnReN5
_chemical_formula_sum 'Pa8 Zn4 Re4 N20'
_cell_length_a 3.391
_cell_length_b 14.240
_cell_length_c 9.336
_cell_angle_alpha 90.00
_cell_angle_beta 90.00
_cell_angle_gamma 90.00
_space_group_name_H-M_alt 'C m c 21'
_space_group_IT_number 36
_space_group_name_Hall 'C 2c -2'
loop_
_atom_site_label
_atom_site_type_symbol
_atom_site_fract_x
_atom_site_fract_y
_atom_site_fract_z
Pa1 Pa 0.000 0.127 0.000
Pa2 Pa 0.000 0.131 0.502
Zn1 Zn 0.000 0.489 0.755
Re1 Re 0.000 0.241 0.245
N1 N 0.000 0.089 0.252
N2 N 0.000 0.276 0.885
N3 N 0.000 0.280 0.613
N4 N 0.000 0.375 0.189
N5 N 0.000 0.481 0.484
```

Density functional theory data (PBE-GGA) for a relaxed ErAlH crystal.

Properties
Relative energy among the computed polymorphs (eV/atom): 0.3667
Energy (eV per cell): -23.6

Geometry as CIF:
```
data_ErAlH
_chemical_formula_sum 'Er2 Al2 H2'
_cell_length_a 3.076
_cell_length_b 3.076
_cell_length_c 10.974
_cell_angle_alpha 90.00
_cell_angle_beta 90.00
_cell_angle_gamma 90.00
_space_group_name_H-M_alt 'I 4 m m'
_space_group_IT_number 107
_space_group_name_Hall 'I 4 -2'
loop_
_atom_site_label
_atom_site_type_symbol
_atom_site_fract_x
_atom_site_fract_y
_atom_site_fract_z
Er1 Er 0.000 0.000 0.000
Al1 Al 0.000 0.000 0.284
H1 H 0.000 0.000 0.543
```

> Among the records above, which one has the lowest energy?

Pa2ZnReN5

> What is the energy in the third record?

-23.6 eV per cell

=====

Mg2ScTe (PBE, relaxed); crystal system = orthorhombic; raw formation energy = -309 meV per atom; calculated density = 3.93 g/cm3
1.0
-2.282 0.373 3.350
-3.666 -1.200 -2.364
0.863 -4.864 1.130
Te Mg Sc
1 2 1
direct
0.000 0.500 0.500 Te
0.500 0.500 0.000 Mg
0.000 0.000 0.000 Mg
0.500 0.000 0.500 Sc

=====

MgSc4Te (PBE, relaxed); crystal system = cubic; raw formation energy = 90 meV per atom; calculated density = 3.66 g/cm3
1.0
-5.857 -1.022 0.550
-3.847 4.566 -0.067
-3.620 0.785 -4.683
Mg Sc Te
1 4 1
direct
0.000 0.000 0.000 Mg
0.374 0.374 0.878 Sc
0.878 0.374 0.374 Sc
0.374 0.374 0.374 Sc
0.374 0.878 0.374 Sc
0.750 0.750 0.750 Te

=====

MgScTe2 (PBE, relaxed); crystal system = tetragonal; raw formation energy = -711 meV per atom; calculated density = 5.42 g/cm3
1.0
-0.691 2.635 2.482
-3.585 -0.140 -0.845
-1.012 -5.107 5.140
Sc Te Mg
1 2 1
direct
0.500 0.500 0.750 Sc
0.000 0.000 0.986 Te
0.000 0.000 0.514 Te
0.500 0.500 0.250 Mg

=====

MgScTe2 (PBE, relaxed); crystal system = tetragonal; raw formation energy = -652 meV per atom; calculated density = 5.46 g/cm3
1.0
5.168 0.000 0.000
0.000 5.168 0.000
0.000 0.000 3.697
Te Mg Sc
2 1 1
direct
0.500 0.500 0.000 Te
0.000 0.000 0.000 Te
0.500 0.000 0.500 Mg
0.000 0.500 0.500 Sc

=====

MgSc2Tl3Te6 (PBE, relaxed); crystal system = monoclinic; raw formation energy = -779 meV per atom; calculated density = 6.53 g/cm3
1.0
-3.732 -2.110 6.080
6.616 -3.035 -1.536
2.625 7.393 2.669
Te Sc Mg Tl
6 2 1 3
direct
0.068 0.405 0.205 Te
0.932 0.595 0.795 Te
0.269 0.269 0.797 Te
0.595 0.932 0.795 Te
0.405 0.068 0.205 Te
0.731 0.731 0.203 Te
0.667 0.333 0.000 Sc
0.333 0.667 0.000 Sc
0.000 0.000 0.000 Mg